View Full Version : Both a Hero to the Cong and Americans in Vietnam war-Heimlich

3rd February 2011, 18:46
Today is the birthday of Henry Heimlich, best known in most of the world as the "inventor" of the way to make a person choking on food, spit it out and live.......made known about 1974 or so

born, feb. 3, 1920.

Attached: records of crystals
┌──
Diffraction record for Li2AgN. The powder diffractogram is calculated, not measured: it uses a cell relaxed with PBE and λ = 1.5418 Å (Cu Kα).
Kinematic intensities with the Lorentz-polarization factor, no thermal factor.

Structural model:
```
Li2AgN
1.0
5.297 0.000 0.000
0.000 7.587 0.000
0.000 0.000 4.783
Li Ag N
8 4 4
Direct
0.126 0.226 0.000
0.241 0.957 0.171
0.259 0.957 0.671
0.374 0.226 0.500
0.626 0.774 0.000
0.741 0.043 0.171
0.759 0.043 0.671
0.874 0.774 0.500
0.097 0.600 0.993
0.403 0.600 0.493
0.597 0.400 0.993
0.903 0.400 0.493
0.029 0.142 0.400
0.471 0.142 0.900
0.529 0.858 0.400
0.971 0.858 0.900
```

Main lines, in order of rising 2θ (2θ = 10–80°):
| 2theta | Rel. int. |
| --- | --- |
| 11.66 | 100 |
| 27.75 | 36 |
| 28.95 | 17 |
| 34.61 | 34 |
| 38.87 | 23 |
| 39.50 | 24 |
| 40.72 | 26 |
| 43.96 | 25 |

Diffraction record for Mg6MnCr. The powder diffractogram is calculated, not measured: it uses a cell relaxed with PBE and λ = 1.5418 Å (Cu Kα).
Kinematic intensities with the Lorentz-polarization factor, no thermal factor.

Structural model:
```
Mg6MnCr
1.0
4.955 0.000 0.000
0.000 6.149 0.000
0.000 0.000 10.709
Mg Mn Cr
12 2 2
Direct
0.000 0.000 0.000
0.000 0.242 0.254
0.000 0.258 0.754
0.000 0.500 0.500
0.000 0.742 0.754
0.000 0.758 0.254
0.500 0.000 0.834
0.500 0.242 0.580
0.500 0.258 0.080
0.500 0.500 0.334
0.500 0.742 0.080
0.500 0.758 0.580
0.000 0.000 0.500
0.000 0.500 0.000
0.500 0.000 0.333
0.500 0.500 0.833
```

Main lines, in order of rising 2θ (2θ = 10–80°):
| 2theta | Rel. int. |
| --- | --- |
| 16.61 | 28 |
| 33.61 | 23 |
| 36.26 | 39 |
| 38.21 | 48 |
| 38.34 | 100 |
| 59.92 | 16 |
| 66.58 | 26 |
| 72.09 | 18 |

Diffraction record for Hg3Se2F2. The powder diffractogram is calculated, not measured: it uses a cell relaxed with PBE and λ = 1.5418 Å (Cu Kα).
Kinematic intensities with the Lorentz-polarization factor, no thermal factor.

Structural model:
```
Hg3Se2F2
1.0
-4.314 4.314 4.314
4.314 -4.314 4.314
4.314 4.314 -4.314
Hg Se F
6 4 4
Direct
0.165 0.915 0.250
0.250 0.165 0.915
0.335 0.585 0.750
0.585 0.750 0.335
0.750 0.335 0.585
0.915 0.250 0.165
0.000 0.580 0.500
0.500 0.000 0.580
0.580 0.500 0.000
0.920 0.920 0.920
0.000 0.023 0.500
0.023 0.500 0.000
0.477 0.477 0.477
0.500 0.000 0.023
```

Main lines, in order of rising 2θ (2θ = 10–80°):
| 2theta | Rel. int. |
| --- | --- |
| 20.59 | 19 |
| 25.28 | 100 |
| 32.83 | 81 |
| 39.06 | 35 |
| 44.55 | 16 |
| 47.11 | 27 |
| 54.21 | 52 |
| 66.84 | 22 |

Diffraction record for BaScZn3GaO7. The powder diffractogram is calculated, not measured: it uses a cell relaxed with PBE and λ = 1.5418 Å (Cu Kα).
Kinematic intensities with the Lorentz-polarization factor, no thermal factor.

Structural model:
```
BaScZn3GaO7
1.0
6.286 0.000 0.000
-3.143 5.444 0.000
0.000 0.000 10.209
Ba Sc Zn Ga O
2 2 6 2 14
Direct
0.333 0.667 0.000
0.667 0.333 0.500
0.333 0.667 0.633
0.667 0.333 0.133
0.173 0.346 0.314
0.173 0.827 0.314
0.346 0.173 0.814
0.654 0.827 0.314
0.827 0.173 0.814
└──
Here the piece continues

However, an even more important contribution was the Heimlich Valve that he developed after observing the death of a Chinese soldier in World War II. He thought about that event and he finally formulatted the solution to what he had seen so many times, someone dieing from a "sucking chest wound" before anything could be done to save their lives, even while at a medical hospital.

Funny is that the man was and remains a national hero in Vietnam, while almost unknown in the USA, except for that moniker which has now more or less been replaced by the term "abdominal thrust" (no Roamy, not related to the purpose of the "Elvis thrust").

Indeed the Heimlich valve is now referred to as the "Flutter Valve"--Many of the problems of the valve have been reduced or removed by improvements.....

-- Materials data that have nothing to do with the entry --
Entry 1:
The following is a computed PXRD pattern of SrLaMnFeO6. It was derived from a GGA+U-relaxed structure, using CuKα.

The 12 most intense peaks (15 to 90 degrees two-theta), by angle:
2θ/deg  I_rel  hkl
22.71  10  2 0 0
32.23  50  2 2 -1
32.38  100  0 0 2
39.87  12  2 4 0
46.37  51  4 0 0
57.51  10  2 2 -3
57.62  20  2 6 -1
57.73  10  2 6 1
57.85  14  4 0 2
67.72  9  0 0 4
67.85  10  4 4 2
77.06  12  6 2 1

```
data_SrLaMnFeO6
_cell_length_a 7.843
_cell_length_b 11.070
_cell_length_c 5.535
_cell_angle_alpha 90.00
_cell_angle_beta 90.45
_cell_angle_gamma 90.00
_space_group_name_H-M_alt 'P 1 2/c 1'
_space_group_IT_number 13
loop_
_space_group_symop_operation_xyz
'x,y,z'
'-x,-y,-z'
'-x,y,-z+1/2'
'x,-y,z+1/2'
loop_
_atom_site_label
_atom_site_type_symbol
_atom_site_fract_x
_atom_site_fract_y
_atom_site_fract_z
Sr1 Sr 0.000 0.119 0.250
Sr2 Sr 0.500 0.121 0.250
La1 La 0.000 0.369 0.750
La2 La 0.500 0.373 0.750
Mn1 Mn 0.249 0.123 0.752
Fe1 Fe 0.251 0.373 0.248
O1 O 0.000 0.114 0.750
O2 O 0.000 0.400 0.250
O3 O 0.229 0.243 0.006
O4 O 0.232 0.262 0.531
O5 O 0.267 0.009 0.483
O6 O 0.274 0.488 0.972
O7 O 0.500 0.150 0.750
O8 O 0.500 0.357 0.250
```


Entry 2:
The following is a computed PXRD pattern of Na2MnS2O8. It was derived from a GGA+U-relaxed structure, using CuKα.

The 12 most intense peaks (15 to 90 degrees two-theta), by angle:
2θ/deg  I_rel  hkl
20.89  29  1 1 1
22.33  57  0 0 2
27.90  100  2 2 -1
28.43  57  3 1 -1
29.27  33  2 2 0
30.35  36  1 1 2
30.94  92  2 2 -2
31.24  33  0 2 2
32.37  49  1 1 -3
43.24  35  1 1 -4
45.50  29  0 4 1
52.15  35  1 3 3

```
data_Na2MnS2O8
_cell_length_a 10.226
_cell_length_b 8.238
_cell_length_c 8.962
_cell_angle_alpha 90.00
_cell_angle_beta 117.31
_cell_angle_gamma 90.00
_space_group_name_H-M_alt 'C 1 2/c 1'
_space_group_IT_number 15
loop_
_space_group_symop_operation_xyz
'x,y,z'
'-x,-y,-z'
'-x,y,-z+1/2'
'x,-y,z+1/2'
'x+1/2,y+1/2,z'
'-x+1/2,-y+1/2,-z'
'-x+1/2,y+1/2,-z+1/2'
'x+1/2,-y+1/2,z+1/2'
loop_
_atom_site_label
_atom_site_type_symbol
_atom_site_fract_x
_atom_site_fract_y
_atom_site_fract_z
Na1 Na 0.139 0.051 0.441
Mn1 Mn 0.000 0.421 0.750
S1 S 0.186 0.290 0.180
O1 O 0.106 0.132 0.133
O2 O 0.140 0.400 0.032
O3 O 0.151 0.236 0.745
O4 O 0.155 0.370 0.311
```


Entry 3:
The following is a computed PXRD pattern of InCoO3. It was derived from a GGA+U-relaxed structure, using CuKα.

The 12 most intense peaks (15 to 90 degrees two-theta), by angle:
2θ/deg  I_rel  hkl
26.98  16  1 1 1
33.73  18  2 0 0
34.25  100  1 2 1
35.02  22  0 0 2
49.01  14  0 4 0
49.42  18  2 0 2
51.02  10  2 1 2
56.33  13  3 1 1
60.82  9  2 4 0
61.65  11  0 4 2
62.32  21  1 2 3
72.17  11  2 4 2

```
data_InCoO3
_cell_length_a 5.314
_cell_length_b 7.435
_cell_length_c 5.124
_cell_angle_alpha 90.00
_cell_angle_beta 90.00
_cell_angle_gamma 90.00
_space_group_name_H-M_alt 'P n m a'
_space_group_IT_number 62
loop_
_space_group_symop_operation_xyz
'x,y,z'
'-x,-y,-z'
'-x+1/2,-y,z+1/2'
'x+1/2,y,-z+1/2'
'x+1/2,-y+1/2,-z+1/2'
'-x+1/2,y+1/2,z+1/2'

anyway, it was something that i learned to use that was a savior for many who in ww2 would have died from their chest wounds. It is also used (or a variant) in many hospitals today when dealing with all sorts of lung and related medical issues

Vietnam is the only country in the world where he is better known for one of his other medical advances than the Heimlich Manoeuvre - the Heimlich chest drain valve.
Haunted by the image of a Chinese soldier who died on the operating table after being shot in the chest in 1945 Dr Heimlich developed a valve to drain blood and air out of the chest cavity.
The device was given to soldiers to carry with them in case they got shot in the chest and the Quakers supplied the devices to the Vietnamese.
"The most moving thing in my life was in 1993 when I went to Vietnam with 25 chest surgeons. I was introduced as 'Dr Heimlich, whose name is known by everyone'.
"I thought it was because of the Heimlich Manoeuvre, but then the man introducing me said it was because of the chest drain valve which saved tens of thousands of lives in Vietnam.
"The Quakers had kept them supplied with the valves.
"He said 'Dr Heimlich, you live in the hearts of the Vietnamese people".



as with any, he is not without his share of controversy....using malaria to treat AIDS,... his choking manuver has been challenged as unsafe except when only used in certain situations with caution and so forth, and other claims, even by his own son:

In Spring 2002, my wife Karen and I began researching the career of my father, Dr. Henry J. Heimlich of Cincinnati, famous for the "Heimlich maneuver" choking rescue method. To our astonishment, we inadvertently uncovered a wide-ranging, unseen 50-year history of fraud. Our research revealed my father to be a spectacular con man and serial liar, undoubtedly one of history's most prolific - and destructive - medical humbugs.
For decades, he relentlessly promoted a string of crackpot medical treatments that resulted in serious injuries and deaths, including children. Most bizarre is "malariotherapy" - a quack cure that consists of infecting for AIDS, cancer, and Lyme Disease patients with malaria. My father also promotes the Heimlich maneuver as a cure-all for drowning, asthma, cystic fibrosis, even heart attacks.
All these treatments have been thoroughly discredited by medical experts and my father has no legitimate evidence to support his ideas. He just made them up.

Nevertheless, armed with considerable charm, an instinct for public relations, and fueled by a ravenous need for attention and adulation, my father used the media to pass himself off as a medical genius/inventor and humanitarian, eventually being crowned "America's most famous doctor" (The New Republic). Facts prove that contrary to his self-cultivated public image, he was an incompetent surgeon who appropriated ideas from other doctors and attached his name to them. The procedure known as "the Heimlich maneuver" is probably no exception. Facts indicate that the only thing my father ever invented was his own reputation




At the end of the day, I don't know what is truth or fiction, but I know the little valve worked well enough, no matter who may have actually invented the thing, so here is to you, Dr. Heimlich or whoever you really are